annual conference 2017
23-26 March 2017
+++
Entry 1:
Structure and theoretical powder diffraction line list of K4TbTa3O12 (DFT lattice parameters and positions (GGA-PBE); copper Kα).
Kinematic intensities with the Lorentz-polarization factor, no thermal factor.

Top 12 peaks for 2θ = 10–80°, by angle:
15.08 deg, d 5.877, I 0.7; 21.38 deg, d 4.155, I 67.8; 30.42 deg, d 2.938, I 100.0; 37.49 deg, d 2.399, I 7.0; 43.56 deg, d 2.078, I 32.1; 49.02 deg, d 1.858, I 30.7; 54.06 deg, d 1.696, I 39.8; 63.30 deg, d 1.469, I 19.5; 67.64 deg, d 1.385, I 14.7; 71.84 deg, d 1.314, I 17.4; 75.95 deg, d 1.253, I 4.2; 79.98 deg, d 1.200, I 6.4

Cell: 7.197 7.197 7.197 Å, 109.47 109.47 109.47°
Fractional positions:
K 0.000 0.000 0.500
K 0.000 0.500 0.000
K 0.500 0.000 0.000
K 0.500 0.500 0.500
Tb 0.000 0.000 0.000
Ta 0.000 0.500 0.500
Ta 0.500 0.000 0.500
Ta 0.500 0.500 0.000
O 0.000 0.268 0.268
O 0.000 0.732 0.732
O 0.250 0.500 0.750
O 0.250 0.750 0.500
O 0.268 0.000 0.268
O 0.268 0.268 0.000
O 0.500 0.250 0.750
O 0.500 0.750 0.250
O 0.732 0.000 0.732
O 0.732 0.732 0.000
O 0.750 0.250 0.500
O 0.750 0.500 0.250

***

Entry 2:
Structure and theoretical powder diffraction line list of YPaCrN4 (DFT lattice parameters and positions (GGA-PBE); copper Kα).
Kinematic intensities with the Lorentz-polarization factor, no thermal factor.

Top 12 peaks for 2θ = 10–80°, by angle:
13.99 deg, d 6.331, I 62.8; 21.91 deg, d 4.057, I 17.8; 23.48 deg, d 3.789, I 100.0; 29.98 deg, d 2.981, I 17.3; 32.73 deg, d 2.736, I 41.4; 32.98 deg, d 2.716, I 69.8; 33.92 deg, d 2.643, I 45.9; 35.96 deg, d 2.497, I 20.6; 40.26 deg, d 2.240, I 32.2; 40.88 deg, d 2.207, I 35.7; 48.03 deg, d 1.894, I 31.0; 53.44 deg, d 1.715, I 17.8

Cell: 5.713 5.285 6.656 Å, 90.00 107.97 90.00°
Fractional positions:
Y 0.201 0.250 0.424
Y 0.799 0.750 0.576
Pa 0.271 0.250 0.943
Pa 0.729 0.750 0.057
Cr 0.267 0.750 0.201
Cr 0.733 0.250 0.799
N 0.058 0.750 0.362
N 0.072 0.750 0.929
N 0.483 0.501 0.233
N 0.483 0.999 0.233
N 0.517 0.001 0.767
N 0.517 0.499 0.767
N 0.928 0.250 0.071
N 0.942 0.250 0.638

***

Entry 3:
Structure and theoretical powder diffraction line list of SrLa4Si3O13 (DFT lattice parameters and positions (GGA-PBE); copper Kα).
Kinematic intensities with the Lorentz-polarization factor, no thermal factor.

Top 12 peaks for 2θ = 10–80°, by angle:
20.97 deg, d 4.236, I 25.9; 21.90 deg, d 4.059, I 23.3; 26.67 deg, d 3.342, I 35.9; 27.86 deg, d 3.202, I 33.4; 30.50 deg, d 2.931, I 100.0; 30.63 deg, d 2.919, I 50.5; 31.69 deg, d 2.824, I 28.5; 44.65 deg, d 2.029, I 28.1; 47.01 deg, d 1.933, I 34.8; 48.48 deg, d 1.878, I 18.4; 49.29 deg, d 1.849, I 22.2; 49.82 deg, d 1.830, I 28.1

Cell: 9.782 9.782 7.274 Å, 90.00 90.00 120.00°
Fractional positions:
Sr 0.333 0.667 0.000
Sr 0.667 0.333 0.500
La 0.010 0.243 0.752
La 0.233 0.990 0.752
La 0.243 0.233 0.252
La 0.333 0.667 0.500
La 0.667 0.333 0.000
La 0.757 0.767 0.752
La 0.767 0.010 0.252
La 0.990 0.757 0.252
Si 0.029 0.399 0.250
Si 0.370 0.971 0.250
Si 0.399 0.370 0.750
Si 0.601 0.630 0.250
+++
## So much for the materials data
The Northeast Modern Language Association continues its work to expand scholarly discussions about comics and graphic narratives. Session proposals for the upcoming Baltimore conference, meeting March 23 to 26.
Please consider submitting 300-word abstracts and brief biographical statements to the following sessions, and please forward these calls for papers to interested scholars. Submissions are due September 30, 2016, at CFP List. Links for submitting abstracts and bios to each session are below.
Participants may submit paper abstracts to more than one NeMLA session; participants may present in no more than one session of the same type but may present a paper as part of a panel and also participate on a roundtable or creative session. More information is available at NeMLA’s web site.
Superhero Narratives and (Dis)Ability (Roundtable)
Chairs: Derek McGrath (Independent Scholar) and Mary Ellen Iatropoulos (Independent Scholar)
Popular culture narratives present ever-increasing images of persons with disability, whether through superheroes themselves or via supporting cast members. Apart from literal impairment, superheroes and superpowers can also be read as allegories for disability and Othered bodies and minds. How can superpowers be read as disabilities, or disabilities as superpowers? How does the superhero’s superpowered engagement of ableist society reveal or illustrate complications of negotiating the construction of (dis)ability?
Masks, Mutations, and Metamorphoses: Transformation Sequences in Comics
Chair: Rafael Ponce-Cordero (Keene State College)
The transformation sequence is standard to comics: Clark Kent rushes out of the phone booth and is now Superman, Usagi Tsukino spins and lights up to transform into Sailor Moon, Kamala Khan experiences terrigenesis to become Ms. Marvel, and Bruce Banner hulks out into a giant green rage monster. This session welcomes submissions that look at transformations not only of characters but of the graphic narrative form, and how those alterations affect other narrative practices in the novel, film, and television.
Maps in Popular Fiction (Panel)
Chair: Emily Lauer (SUNY Suffolk County Community College)
Maps bound in at the beginning of books can shape the reading of the book in a variety of ways. This panel will consider the questions of genre raised (and perhaps answered) by prefacing fiction with maps, and also the various issues of intertextuality indicated by the presence of the map. This panel welcomes papers that examine the importance of printed maps in popular fiction of a variety of genres and forms including mysteries, fantasies, and superhero stories in comics, novels, manga series, and more.
Marvel vs. DC: Civil War? (Panel)
Chair: Lisa Perdigao (Florida Institute of Technology)
Released in spring 2016, Captain America: Civil War and Batman v Superman: Dawn of Justice converge on the narrative of a house divided. Marvel’s and DC’s staging of the wars between their respective superheroes is suggestive of a larger battle between the two franchises that dates back to the comics. This panel will explore how the concept of civil war plays out within and between the Marvel Cinematic Universe (MCU) and DC Entertainment films and television series. Papers are sought that examine individual Marvel and DC works (comics, films, and television series), the expansive Marvel and DC universes, and the relationship between the two rival companies.
Why Afrofuturism, Why Now? (Panel)
Chair: Maleda Belilgne (University of Maryland-Baltimore County)
This session seeks papers that explore the temporal, geographical, and aesthetic parameters of Afrofuturism. In recent years, the black speculative has emerged as central to critical inquiry, creative expression, and theories of black subjectivity and social death. What is it about our contemporary moment that demands, solicits and activates the fantastic? Possible topics include, but are not limited to, black performativity, sound studies, black speculative fiction, literature of the black fantastic, black futurity in the visual, sonic and digital arts, black comic books, and black critical theory.
“The Death of Zod”: Ethics in 21st-century Comics (Panel)
Chairs: Forrest Johnson (York University) and Tracey Thomas (York University)
From Man of Steel to the CW’s Arrow and Flash series to the Avengers franchise, comic book characters are facing new ethical developments in their rejuvenation that both encompass and go beyond the idea of killing one’s enemy. Following a loose Nietzschean trajectory of “The Death of God,” this panel seeks to tease out the issues of superheroes’ ethics. Further, this panel questions the regenerated heroes of the 21st century and the moral and ethical dilemmas these characters face in the contemporary world. Papers might focus on comic book adaptations on big and small screens or comic book characters’ revival in print.
Comics and Graphic Novels in a Transnational Perspective (Panel)
Chair: Julia Ludewig (SUNY Binghamton)
This panel looks at German-language comics and graphic novels within a transnational framework. It welcomes papers that consider transnational comparisons of, for example, the same genre category, similar themes, or narrative techniques. It seeks to illuminate differences and similarities in the chosen works with specific regard to their linguistic and/or national characteristics.
The Representation of Race in American Comics/Graphic Novels (Panel)
Chair: Teresa Feroli (New York University)
American comics have a long and checkered history in the way they have portrayed racial difference, though more recent comics/graphic novels have used the medium to comment effectively on American racial politics. As the genre grows in popularity in bookstores and on college campuses, now seems an opportune time to take stock of the ways this medium has both fostered and critiqued racist attitudes. This panel welcomes submissions on this topic from any era of American comics/graphic novels and from any literary critical or cultural studies perspective.
Comics of the Margins: Visions from the Periphery in World Graphic Narratives (Panel)
Chairs: Camila Gutierrez (Pennsylvania State University-University Park) and Irenae Aigbedion (Pennsylvania State University-University Park)
This panel welcomes papers that examine the propagandistic, cosmological, religious, or ideological subtexts of comic books and longer graphic narratives originating in literatures outside of the paradigm of U.S. American comics.
Speculative Horror: Ontologies of the Real
Chair: Bethany Doane (Pennsylvania State University)
This panel seeks to explore the possibilities of theoretical engagement with horror fiction in a post-linguistic and post-critique era of realism, materialism, and the nonhuman. It encourages interdisciplinary considerations of what these theoretical modes have to offer potential new readings of the various manifestations of the horror genre, from literature to philosophy to film and television to comics to interactive digital media.
World War I Revisited In Literature and Other Arts: Saying the Unspeakable (Panel)
Chair: Eckhard Kuhn-Osius (Hunter College-CUNY)
Cultural Studies approach to the traumatizing experience of World War I, analysis of literary works or adaptations thereof (film, graphic literature) that deal with the Great War. Scholars from all cultures and social groups that were involved in the war are welcome.
“Do I wake or sleep?”: The Manifold Implications of Gaiman’s The Sandman (Panel)
Chair: Joshua Cohen (Massachusetts College of Art and Design)
Reading Neil Gaiman’s graphic novel series, The Sandman, is like racing through a condensed combined curriculum in the classic humanities and modern cultural studies.This panel explores The Sandman as a work of art and as a manifold vision into human life as viewed within a vast cultural and cosmologicial framework. All critical perspectives (including cultural studies, pedagogy, and interdisciplinary approaches) are welcome.
The Contrary of Revelation: Apocalypse and the Epistemology of Horror
_Data records that have nothing to do with the piece_
-- begin --
1.
# Hf3Ag4Sn4
Simulated powder diffraction line list, Cu Kα X-rays. Input: a structure optimized by DFT (GGA-PBE).

Most intense lines, 2θ = 10–90°, sorted by position:
- 2θ 15.4, I = 8.6
- 2θ 24.0, I = 24.1
- 2θ 27.8, I = 18.8
- 2θ 39.8, I = 100.0
- 2θ 47.0, I = 11.3
- 2θ 49.2, I = 5.8
- 2θ 57.5, I = 16.9
- 2θ 65.0, I = 8.0
- 2θ 72.2, I = 34.4
- 2θ 85.7, I = 11.3

Crystal structure
Unit cell a=7.858 b=7.858 c=7.858 alpha=131.85 beta=131.85 gamma=70.47
Sites, in units of the cell vectors:
Hf1 0.000 0.000 0.000
Hf2 0.250 0.750 0.500
Hf3 0.750 0.250 0.500
Ag1 0.133 0.623 0.000
Ag2 0.377 0.377 0.511
Ag3 0.623 0.133 0.000
Ag4 0.867 0.867 0.489
Sn1 0.000 0.500 0.500
Sn2 0.251 0.251 0.000
Sn3 0.500 0.000 0.500
Sn4 0.749 0.749 0.000

---

2.
# BaSrCd4
Simulated powder diffraction line list, Cu Kα X-rays. Input: a structure optimized by DFT (GGA-PBE).

Most intense lines, 2θ = 10–90°, sorted by position:
- 2θ 29.1, I = 57.7
- 2θ 29.5, I = 100.0
- 2θ 30.0, I = 37.3
- 2θ 34.1, I = 43.9
- 2θ 34.4, I = 53.1
- 2θ 35.9, I = 71.5
- 2θ 46.3, I = 22.0
- 2θ 49.3, I = 30.1
- 2θ 57.2, I = 31.8
- 2θ 62.7, I = 19.8

Crystal structure
Unit cell a=6.504 b=6.504 c=6.504 alpha=132.79 beta=100.88 gamma=97.58
Sites, in units of the cell vectors:
Ba1 0.000 0.000 0.000
Sr1 0.597 0.097 0.500
Cd1 0.031 0.720 0.312
Cd2 0.203 0.391 0.811
Cd3 0.408 0.720 0.688
Cd4 0.580 0.391 0.189

---

3.
# Pa2TcCl3
Simulated powder diffraction line list, Cu Kα X-rays. Input: a structure optimized by DFT (GGA-PBE).

Most intense lines, 2θ = 10–90°, sorted by position:
- 2θ 10.6, I = 19.4
- 2θ 21.2, I = 21.5
- 2θ 25.5, I = 100.0
- 2θ 32.9, I = 24.4
- 2θ 39.5, I = 66.9
- 2θ 39.9, I = 46.3
- 2θ 47.2, I = 25.8
- 2θ 54.4, I = 27.3
- 2θ 63.4, I = 23.9
- 2θ 82.5, I = 16.3

Crystal structure
Unit cell a=3.852 b=3.852 c=8.380 alpha=90.00 beta=90.00 gamma=90.00
Sites, in units of the cell vectors:
Pa1 0.000 0.500 0.235
Pa2 0.500 0.000 0.765
Tc1 0.500 0.500 0.000
Cl1 0.000 0.000 0.000
Cl2 0.000 0.500 0.624
Cl3 0.500 0.000 0.376

---

4.
# BaZrSi3O9
Simulated powder diffraction line list, Cu Kα X-rays. Input: a structure optimized by DFT (GGA-PBE).

Most intense lines, 2θ = 10–90°, sorted by position:
- 2θ 15.1, I = 29.3
- 2θ 23.4, I = 92.9
- 2θ 26.3, I = 25.1
- 2θ 30.5, I = 18.7
- 2θ 31.9, I = 100.0
- 2θ 40.7, I = 17.4
- 2θ 45.0, I = 26.3
- 2θ 46.5, I = 19.1
- 2θ 47.8, I = 16.2
- 2θ 50.1, I = 18.5

Crystal structure
Unit cell a=6.766 b=6.766 c=10.020 alpha=90.00 beta=90.00 gamma=120.00
Sites, in units of the cell vectors:
Ba1 0.000 0.000 0.000
Ba2 0.000 0.000 0.500
Zr1 0.667 0.333 0.000
Zr2 0.667 0.333 0.500
Si1 0.055 0.441 0.250
Si2 0.055 0.613 0.750
Si3 0.387 0.441 0.750
Si4 0.387 0.945 0.250
Si5 0.559 0.613 0.250
Si6 0.559 0.945 0.750
O1 0.132 0.419 0.750
O2 0.132 0.714 0.250
O3 0.286 0.419 0.250
O4 0.286 0.868 0.750
O5 0.401 0.085 0.116
O6 0.401 0.085 0.384
O7 0.401 0.316 0.616
O8 0.401 0.316 0.884
O9 0.581 0.714 0.750
O10 0.581 0.868 0.250
O11 0.684 0.085 0.616
O12 0.684 0.085 0.884
-- stop --
Chair: Eleanor Gold (SUNY University at Buffalo)
The increasing awareness of global climate change, economic strife, political upheaval and epidemiological crises spurs a multitude of responses from writers, artists, and scholars seeking to illustrate or interrogate the ultimate epistemological rift inherent in the end of life itself. This panel invites papers that address various media interpretations and conceptualizations of the apocalypse, including fiction, film, television, graphic novels, etc.
Pow! Graphic Literature to Engage Students in the Creative Writing Workshop (Roundtable)
Chair: Maureen McVeigh (West Chester University)
Students in creative writing workshops often lack reading experience and knowledge, but demonstrate awareness and analysis of film and television. Graphic literature can be used to transition from the terminology and rhetorical understanding they possess to the writing and feedback skills the workshop demands. This roundtable seeks to present and discuss both recommended texts and strategies to engage students and encourage their creative writing. Theoretical and practical approaches to this method are welcome.
Rendering Subjectivity and Perspective in Visual Representations (Roundtable)
Chair: Catherine Winters (University of Rhode Island)
Uncertainties, positionalities, and shifting interpretations often play an important part in our research, but standard graphical representations, which are frequently used in the Digital Humanities, seem to represent information objectively. Do charts, maps, graphs and other forms of representation hinder our discussions of experiential issues and can we work to reimagine these traditional graphic representations through layer or distortion, or should we invent new forms for humanities work? Considering these questions further pushes scholars in DH to move beyond appropriation of methods that work but do not fully embody the considerations of humanities study, with the ultimate goal of not only better defining DH but also continuing to work towards methods and forms unique to humanities. This sessions invites both theoretical considerations of representation in DH, as well as concrete examples of projects using new visuals to approach these issues.
Blasphemous Translation (Panel)
Chair: Manuela Borzone (University of Massachusetts Amherst)
This session welcomes papers that explore “blasphemous translations,” i.e., translations, rewritings, parodies, or adaptations of so-called “canonical” texts into a variety of media, including literature, film, graphic narratives, etc.